up to ten billion betting agreement

Some things could be endured, but being slandered was something Adams couldn't stand.

Someone pasted materials data at this point.
/*
Below is a relaxed structure of Tm3InC, with properties calculated at the PBE level. Values from VASP.

Cell and atoms, written as Quantum ESPRESSO input:
```
&SYSTEM
  ibrav = 0, nat = 5, ntyp = 3
/
ATOMIC_SPECIES
Tm 168.93 Tm.upf
In 114.82 In.upf
C 12.01 C.upf
CELL_PARAMETERS angstrom
5.5066 0.0000 0.0000
0.0000 5.5066 0.0000
0.0000 0.0000 5.5066
ATOMIC_POSITIONS crystal
Tm 0.0000 0.0000 0.5000
Tm 0.0000 0.5000 0.0000
Tm 0.5000 0.0000 0.0000
In 0.0000 0.0000 0.0000
C 0.5000 0.5000 0.5000
```

Properties
ΔE_f in eV per atom: 1.62
Calculated volume in Å³/cell: 167
Uncorrected energy in eV per atom: -3.46
Crystal system: cubic

~~~~~

[1]
Pr3Ag | the Materials Project | PBE | relaxed; energy above the lowest structure with this stoichiometry = 0.009 eV/atom; total DFT energy (no corrections) = -34.19 eV for the cell shown; ΔH_f (0 K) = 8 kJ/mol of formula units; space group = P6_3/mmc (194)
1.0
7.2610 0.0000 0.0000
-3.6305 6.2882 0.0000
0.0000 0.0000 5.3885
Pr Ag
6 2
direct
0.1756 0.3512 0.2500
0.1756 0.8244 0.2500
0.3512 0.1756 0.7500
0.6488 0.8244 0.2500
0.8244 0.1756 0.7500
0.8244 0.6488 0.7500
0.3333 0.6667 0.7500
0.6667 0.3333 0.2500

[2]
Pr3Ag | the Materials Project | PBE | relaxed; energy above the lowest structure with this stoichiometry = 0.000 eV/atom; total DFT energy (no corrections) = -34.27 eV for the cell shown; ΔH_f (0 K) = 4 kJ/mol of formula units; space group = I4/mmm (139)
1.0
4.8413 0.0000 0.0000
0.0000 4.8413 0.0000
0.0000 0.0000 10.4683
Pr Ag
6 2
direct
0.0000 0.0000 0.0000
0.0000 0.5000 0.2500
0.0000 0.5000 0.7500
0.5000 0.0000 0.2500
0.5000 0.0000 0.7500
0.5000 0.5000 0.5000
0.0000 0.0000 0.5000
0.5000 0.5000 0.0000

[3]
Pr14Ag51 | the Materials Project | PBE | relaxed; total DFT energy (no corrections) = -227.43 eV for the cell shown; ΔH_f (0 K) = -1548 kJ/mol of formula units; space group = P-6 (174)
1.0
13.0545 0.0000 0.0000
-6.5272 11.3055 0.0000
0.0000 0.0000 9.5829
Pr Ag
14 51
direct
0.0000 0.0000 0.1976
0.0000 0.0000 0.8024
0.1184 0.7170 0.5000
0.1392 0.4674 0.0000
0.2830 0.4015 0.5000
0.3281 0.8608 0.0000
0.3830 0.1143 0.5000
0.4696 0.3280 0.0000
0.5326 0.6719 0.0000
0.5985 0.8816 0.5000
0.6720 0.1416 0.0000
0.7313 0.6170 0.5000
0.8584 0.5304 0.0000
0.8857 0.2687 0.5000
0.0187 0.8832 0.5000
0.0595 0.8204 0.0000
0.0750 0.2666 0.2646
0.0750 0.2666 0.7354
0.1055 0.6664 0.1684
0.1055 0.6664 0.8316
0.1158 0.4938 0.3463
0.1158 0.4938 0.6537
0.1168 0.1355 0.5000
0.1796 0.2391 0.0000
0.1916 0.9250 0.2646
0.1916 0.9250 0.7354
0.2376 0.0585 0.0000
0.2699 0.1959 0.2588
0.2699 0.1959 0.7412
0.3333 0.6667 0.2057
0.3333 0.6667 0.5000
0.3333 0.6667 0.7943
0.3336 0.4391 0.1684
0.3336 0.4391 0.8316
0.3780 0.8842 0.3463
0.3780 0.8842 0.6537
0.4374 0.1055 0.1701
0.4374 0.1055 0.8299
0.4978 0.3807 0.3476
0.4978 0.3807 0.6524
0.5062 0.6220 0.3463
0.5062 0.6220 0.6537
0.5609 0.8945 0.1684
0.5609 0.8945 0.8316
0.6193 0.1170 0.3476
0.6193 0.1170 0.6524
0.6667 0.3333 0.2065
0.6667 0.3333 0.5000
0.6667 0.3333 0.7935
0.6681 0.5626 0.1701
*/

He said bluntly, "You call me a liar, so what are you, a pathetic wretch who relies on the power of your family and only explodes with jealousy and yells that others are liars?"

The words "dependent on the family" stung Edward Jr. This is a hurdle that the son of a rich family cannot get around, and no one will believe it even if he explains more.

Little Edward immediately like a cat whose tail has been stepped on, thickened his neck no longer a little gentlemanly cursing Falk.

"You bullshit! The money I'm spending now is all I've earned from my investments, a total of 5 billion dollars!"

"Listen carefully, it is 5 billion dollars, the best student of investment management at Yale University is me!"

In a short distance to observe the crowd of Yulian, seeing this scene can not help but shake his head, he used to be quite optimistic about young Edward coming, now it seems that this young master is too well protected by the family.

Adams only slightly stimulated him with a few words, he could not restrain his emotions.

It is a bad thing to be in control of your emotions at the mall.

Sure enough, Adams continued sarcastically.

"You still say you're not relying on your family, where did you get your starting capital, did your parents give you tens of billions and you made $5 billion, and you call that an investment?"

"Yale University? Your parents gave you how much money to donate to the school, this capital is also worthy of your bragging? I earned ten billion, I can take out the voucher of my transaction anytime you want, can you?"

Edward himself was a little dumbfounded, these two points were almost all by Adams, the 5 billion he earned was indeed piled up by the start-up capital given by his parents, and various resources.

The parents also donated tens of millions to college, which is the normal operation of their rich second generation.

He was just a little unconvinced today, losing emotionally to a thug, being a stinky loser across the board.

Little Edward cursed, "Damn, don't be smug, let's bet against each other, I don't believe my investment vision will lose to you, whoever loses will admit he is a liar and take the initiative to apologize to the other side on the radio."

"How to bet?" Adams didn't expect little Edward to be so good at picking up the slack, and his initiative to propose a betting match was right up his alley.

"Your Lucky Star and my Parkway have a fair competition, both companies put out less than 5 billion capital investment, whoever makes 5 billion profit on the investment first, who is the winner!"

Edward Jr. gloated over his idea, but Adams showed no interest.

Adams was himself this bet is not interesting, win just get each other's apology, he simply does not care about this.

"How about we raise the stakes, whoever loses has to give the other side 5 billion in cash!" Edward continued to raise the stakes.

The group of people all got excited, although their family's possessions were more than tens of billions, 5 billion was a large amount of money for them.

"Do you dare to bet with me?" Edward said smugly.

"What's not to dare, then let Sevin by the notary, and we'll sign the betting agreement now."

Adams is confident, he knows that "Lucky Star" is making a large investment in the future, it is only a matter of time, he feels that he may not lose.

This confidence is based on several previous investments.

And Edward also feels that he is sure to win, several professional managers under his command are the top-ranked investment experts on Wall Street, and the annualized rate of return is more than 30% of the superhero.

He felt that the reason Adams was able to make so much money was just good luck.

The next will not always be so lucky.

As long as he wins Adams, he will be able to make Margaret look at him differently, and with Uncle Yulian's support, their marriage will naturally be on the agenda.

Both sides had their calculations, and at the instigation of other rich sons, on a blank sheet of paper, they signed a drafted betting agreement.

Sevin did not expect this to come to this point, because Margaret still cared for Adams.

He pulled Adams aside and said a little complainingly.

"Adams I told you not to be impulsive, you just hold back for a moment, Margaret's feelings for you and will not change, let Edward taunt you a few words and so what, we all know you are not a liar."

Margaret was also extremely difficult, she took Adams' arm and apologized repeatedly, saying.

"Adams, I thought he would at most give you a few hard times, or you should break the contract, it's not too late."

"It's okay, you have to have faith in me, it's only a matter of time before I can win."

He said to Sevin again, "This is all that Uncle Yulian wants to see, right? He organized this party, isn't it just to give me a hard time?"

Sevin was a bit speechless, this was indeed his father's idea, with Edward Jr. as his opponent, trying to make Adams know what to do, not expecting Adams would be so conceited that he would take this bet of up to 5 billion dollars.

Unexpectedly, this sentence just happened to be heard by Yulian as well, and he beckoned to Adams with a black face.

"You boy, come here."

Sevin and Margaret did not dare to breathe out, it was the first time they saw their father's angry appearance.

Adams was also a bit apprehensive, this middle-aged man is a real big shot, and those on the list of rich people in front of his wealth are a joke.

"Do you have something against me?"

"I have no opinion." Adams resisted the pressure, and said defiantly, that he agreed to Edward's bet, but also because Eulerian time and again made things difficult for him, there is a little bit of resentment, knowing that if this time backward retreat, all will be given by this one to look down on.

He wants to marry Margaret, he must pass the test of Julien.

What I didn't expect was a smile on Yulian's face, laughing: "Good boy, his temper is quite like mine when I was young. Since you have agreed to the bet, you have to prepare well."

"Still, if you have difficulties, you can come to me anytime." Yulian reminded with deep meaning.

"Then thank you in advance for your kindness, uncle." In his heart, however, he kept spitting out Yulian's bad taste, and if he took it seriously, he would probably be a real fool.

Youlian looked at Adams' defiant look, his heart also lamented the speed of this young man's growth, last time he then thought Adams would not be able to pass Goda this hurdle, ready for the aftermath.

I didn't expect Adams to survive Godard's counterattack and bite off a big piece of fat on Wanders Group.

He underestimated this guy, but wanting to marry his baby daughter is not an easy thing, to pass him, you must defeat Edward Jr. the pride of the sky to do so.